Think Outside The Box

Understanding the box and its whereabouts

Asad Tariq
4 min readMar 11, 2022

Recently, I came across the image, and I am sure many have said and many have heard this out-of-the-world instruction — “Think Outside the Box”. Looking at this image made me wonder what it really means.

On the first look, I had 2 major concerns:

  1. Why is “Think” inside the box, when it is itself asking us to think outside the box?
  2. Why is “Box” outside the box?

-- Records of crystals, kept here for reference --
=====
Record 1
{
  "formula": "HgIr2Os",
  "functional": "GGA-PBE",
  "state": "optimized geometry",
  "sg": "I-42d (122)",
  "formation_enthalpy_0k_ev_per_atom": 0.925,
  "lattice_angstrom": [[7.301, 0.000, 0.000], [0.000, 7.301, 0.000], [3.650, 3.650, 2.712]],
  "species": ["Os", "Ir", "Hg", "Ir", "Os", "Hg", "Ir", "Ir"],
  "fractional_positions": [[0.500, 0.500, 0.000], [0.167, 0.625, 0.250], [0.750, 0.250, 0.500], [0.875, 0.833, 0.750], [0.250, 0.750, 0.500], [0.000, 0.000, 0.000], [0.375, 0.417, 0.750], [0.583, 0.125, 0.250]]
}

Record 2
{
  "formula": "MnTeS",
  "functional": "GGA-PBE",
  "state": "optimized geometry",
  "sg": "P3m1 (156)",
  "e_form_raw_ev_per_atom": -0.37,
  "relative_energy_mev_per_atom": 12,
  "lattice_angstrom": [[3.560, 0.000, 0.000], [-1.780, 3.083, 0.000], [0.000, 0.000, 6.309]],
  "species": ["S", "Mn", "Te"],
  "fractional_positions": [[0.333, 0.667, 0.546], [0.667, 0.333, 0.366], [0.000, 0.000, 0.088]]
}

| no. | density of states at the Fermi level (states/eV per atom) |
| --- | --- |
| 1 | 1.257 |
| 2 | 0.327 |

=====

# La2AgRuC

A crystal of La2AgRuC relaxed with PBEsol (meta-GGA SCAN, Alexandria via LeMat-Bulk).

Output
**Total DFT energy (no corrections)**: -31.549 eV/atom
**ΔE_f**: 0.9513 eV/atom
**Total moment**: 0.000 μB/cell
**DOS(E_F)**: 0.548 states/eV per atom
**Space-group type**: P4/mmm

a = 5.5946 Å, b = 5.5946 Å, c = 3.7762 Å
α = 90.00°, β = 90.00°, γ = 90.00°
Closest atoms and distances in Å follow each position.
Fractional positions:
La 0.0000 0.5000 0.0000  2 Ag 2.80
La 0.5000 0.0000 0.0000  2 Ag 2.80
Ag 0.0000 0.0000 0.0000  2 C 1.89
Ru 0.5000 0.5000 0.5000  8 La 3.37, 2 Ru 3.78
C 0.0000 0.0000 0.5000  2 Ag 1.89

=====

Record 1
A geometry-optimized BaMgCr2O8 structure. Source: the Alexandria database, functional PBE+U.

Cell lengths 5.5164, 5.5164, 7.3692 Å; angles 90.00, 90.00, 120.00 degrees
Last column: nearest neighbours and their distance in Å.
Atoms (fractional coordinates):
1 Ba 0.0000 0.0000 0.0000  12 O 2.85-3.19
2 Mg 0.0000 0.0000 0.5000  6 O 2.08
3 Cr 0.6667 0.3333 0.2501  4 O 1.65-1.67
4 Cr 0.3333 0.6667 0.7499  4 O 1.65-1.67
5 O 0.3333 0.6667 0.9743  1 Cr 1.65
6 O 0.3351 0.1696 0.3199  1 Cr 1.67
7 O 0.8304 0.1655 0.3199  1 Cr 1.67
8 O 0.6667 0.3333 0.0257  1 Cr 1.65
9 O 0.1696 0.8345 0.6801  1 Cr 1.67
10 O 0.6649 0.8304 0.6801  1 Cr 1.67
11 O 0.1655 0.3351 0.6801  1 Cr 1.67
12 O 0.8345 0.6649 0.3199  1 Cr 1.67

Output
* DOS at the Fermi energy: 0.0000 states/eV per atom
* size of the total moment: 0.0 Bohr magnetons per cell
* V: 16.2 Å³ per atom
* final energy: -6.7424 eV per atom

Record 2
A geometry-optimized BaMgCr4O8 structure. Source: the Alexandria database, functional PBE+U.

Cell lengths 5.4082, 5.4082, 7.3307 Å; angles 90.00, 90.00, 120.00 degrees
Last column: nearest neighbours and their distance in Å.
Atoms (fractional coordinates):
1 Ba 0.0000 0.0000 0.0000  12 O 2.91-3.12
2 Mg 0.0000 0.0000 0.5000  6 O 2.14
3 Cr 0.3333 0.6667 0.7413  4 O 1.90-1.92
=====

It’s maybe not that big a deal and I am being curious to an unreasonable extent, but it also makes me wonder what do we really want people to do when we tell them to think outside the box? That is a very vague instruction, and this diagrammatic representation makes things worse, at least for me.

Anyways, I searched and found different versions of the same concept. I discussed with a friend as well and he had seen this image before as well, but as soon as I shared my concern, he too was a bit skeptical of this representation.

Calculated crystals, kept here for reference:
The following is a DFT calculation (PBE-GGA) of an optimized crystal structure of NaScV2Ni.

```
NaScV2Ni
1.0
-2.2553 3.6613 -1.7088
-1.8695 -2.8225 -3.5801
-3.6391 -0.9903 2.6810
Sc Ni Na V
1 1 1 2
Direct
0.0000 0.5000 0.0000
0.0000 0.0000 0.0000
0.5000 0.5000 0.5000
0.0000 0.0000 0.5000
0.5000 0.0000 0.0000
```

Formation energy (eV/atom): 0.712
D(E_F) (states/eV/f.u.): 5.44
Uncorrected energy (Ry/atom): -0.4132


P) # CuNiF3

A geometry-optimized CuNiF3 structure (GGA+U, Alexandria via LeMat-Bulk).

## Properties
- Magnetization: 2.0 μB/cell
- Space-group type: Pm-3m (221)

a b c (Å): 3.9493 3.9493 3.9493
angles (deg): 90.00 90.00 90.00
Atoms (fractional coordinates):
Ni  0.0000  0.0000  0.0000
Cu  0.5000  0.5000  0.5000
F  0.0000  0.5000  0.0000
F  0.0000  0.0000  0.5000
F  0.5000  0.0000  0.0000


Q) # CuNiF3

A geometry-optimized CuNiF3 structure (GGA+U, Alexandria via LeMat-Bulk).

## Properties
- Magnetization: 3.8 μB/cell
- Space-group type: P-6c2 (188)

a b c (Å): 5.3268 5.4301 5.4301
angles (deg): 120.00 90.00 90.00
Atoms (fractional coordinates):
Cu  0.5000  0.6667  0.3333
Cu  0.0000  0.6667  0.3333
Ni  0.0000  0.0000  0.0000
Ni  0.5000  0.0000  0.0000
F  0.7500  0.2970  0.2700
F  0.7500  0.9730  0.7030
F  0.7500  0.7300  0.0270
F  0.2500  0.7300  0.7030
F  0.2500  0.2970  0.0270
F  0.2500  0.9730  0.2700


Result of the stability comparison: P) is the least stable of them.

The Box

So, before we start thinking outside the box, let’s get inside the box. But where is the box, and where is it?

The box represents normalcy, ordinariness, stagnancy, stillness, and everything that represents what is “thinkable” by everyone. Technically, “thinking” refers to considering something and analyzing it, so how can anyone think about or consider something that hasn’t already been thought about or considered?

Look at the image once again and tell me what you see. Is that not a box containing the words “Think Outside The”, and the word “Box” written outside the box, below it?

Think again!

Why do we tend to think that this is a box? That’s just four black lines, forming a square. That doesn’t have to be a box, does it? Let’s consider that it’s not a box. What can it be then?

Can’t think of anything? That’s fine.

Now look at this image, and see what you get from this?

Get it?

We were never told to think of the square in the image as a box. But we still did it. Why? Maybe because it’s us who are in the box! We tend to jump to conclusions on the basis of what we know, and what we know is what we have been told. But what about things that we have not been told? Does our not knowing of them relieve them from the burden of existence? Does our not knowing relieve us from the burden of responsibility to explore? And how will we know if we don’t discover? And how will we do that, if we don’t explore?

**These data records were left in the text by mistake**
~~~
Here is an optimized crystal structure of HgTeHI2 from Alexandria. Energies are from GGA-PBE.

symmetry	P4/mmm
total magnetic moment	2.86	μB per formula unit
uncorrected energy	-1.28	eV/atom

extended XYZ file:
```
5
Lattice="6.045 0.000 0.000 0.000 6.045 0.000 0.000 0.000 5.731" Properties=species:S:1:pos:R:3 pbc="T T T"
Hg 0.000 0.000 0.000
Te 0.000 0.000 2.866
H 3.022 3.022 2.866
I 0.000 3.022 0.000
I 3.022 0.000 0.000
```

* * * * *

This record from Alexandria describes a relaxed structure of CsSi2Ni. The functional is PBE-GGA.

Cell and atoms, written as extended XYZ:
```
8
Lattice="-0.545 3.724 4.589 -4.802 -2.965 1.836 1.000 -3.401 6.717" Properties=species:S:1:pos:R:3 pbc="T T T"
Cs 0.000 0.000 0.000
Cs -1.109 0.352 7.259
Si -2.456 -3.007 7.906
Si -0.555 0.176 3.629
Si -2.956 -1.306 4.548
Si -2.728 -1.145 10.200
Ni -2.674 0.380 3.212
Ni -3.238 -2.993 5.883
```

The value obtained for the calculated total energy is -4.24 eV/atom. The raw formation energy is 0.13 eV/atom. As for the excess energy over the best structure of this formula in the dataset: 0.000 eV/atom.

***

This record from Alexandria describes a relaxed structure of YHfPS2. The functional is PBE-GGA.

Cell and atoms, written as extended XYZ:
```
5
Lattice="-2.118 1.888 4.109 3.339 -2.408 2.827 3.198 4.137 -0.253" Properties=species:S:1:pos:R:3 pbc="T T T"
Hf 2.209 1.809 3.342
Y 0.000 0.000 0.000
S 1.669 -1.204 1.414
S -1.059 0.944 2.055
P 1.599 2.069 -0.126
```

The value obtained for the calculated total energy is -5.94 eV/atom. The raw formation energy is 0.08 eV/atom. As for the excess energy over the best structure of this formula in the dataset: 1.070 eV/atom.

***

This record from Alexandria describes a relaxed structure of Pr2TlGe3Pt4. The functional is PBE-GGA.

Cell and atoms, written as extended XYZ:
```
10
Lattice="4.409 0.000 0.000 0.000 4.409 0.000 0.000 0.000 10.622" Properties=species:S:1:pos:R:3 pbc="T T T"
Pt 2.204 2.204 0.000
Pt 2.204 0.000 6.919
Pt 0.000 2.204 3.703
Pt 0.000 0.000 0.000
Ge 0.000 2.204 1.278
Ge 0.000 0.000 5.311
Ge 2.204 0.000 9.344
Pr 0.000 2.204 8.066
Pr 2.204 0.000 2.556
Tl 2.204 2.204 5.311
```

The value obtained for the calculated total energy is -5.78 eV/atom. The value obtained for the formation energy from the elements is -790.1 meV per atom.

***

This record from Alexandria describes a relaxed structure of Mg6CuB. The functional is PBE-GGA.

Cell and atoms, written as extended XYZ:
```
8
Lattice="-1.369 2.597 -5.322 0.945 -5.407 -2.611 -3.890 -0.941 0.541" Properties=species:S:1:pos:R:3 pbc="T T T"
Mg -1.938 -3.682 -5.264
Mg -0.412 0.027 -2.919
Mg -1.730 -2.303 -1.372
Mg 0.266 -3.060 -3.406
Mg -1.159 1.872 -5.077
Mg -0.559 -0.943 -5.656
B -2.700 0.004 -4.333
Cu -1.243 -5.036 -2.626
```
~~~
**Back to the text**

When a dog can come and bite us, why should we not do the same to it? That is because we can think better than that. We cannot win against a dog in a dogfight. So to survive against a dog, we have to design a game that we can play better than the dog and win. That is outside the box of that dog.

Thinking Outside the Box doesn’t necessarily mean to think new — it just means that you have to think different from what you are expected to think in a situation, so that you can behave different from how you are expected to behave to make sure that the outcome of the situation is different from one would expect it to be.

So when some tells you to think out of the box, they are not really asking you to think outside your box. They are looking for ideas outside of their own box. That is why, whenever you think of anything that they have already a dy thought of, it doesn’t really matter how innovative it is.

That is how a square on a paper can become something other than a box — maybe the way out of the box that everyone else is already existing in.



Asad Tariq

A 30-Year-Old Pakistani, Peoples (HR) Professional, on a journey of discovery within.